Well I play High Elves with hordes of Dp's charging at me...so...I always played acid!
Due to the hole in the rules in this case, that might be up to you and your opponent or tournament leader if you have one. In my opinion, I'd say...
Hey everyone! I've got great news. My and my High Elf pal recently discovered a gaming group within our school that uses every army except for...
btw, 2250 game if anyone was wondering.
Alrighty then, we had the battle a few days ago, so this information is...mostly accurate. Here we go! Lists: For High elf list, please visit...
Thanks for the suggestions, I'll stick with the CoF's due to LOS and avoiding the dragon, plus silver helms have a 2+ save and their leadership is...
Thank you all very much, me and my friend are about to clash and see what happens. And the spells suggestions are wonderful! @Daeghrefn I can...
Thank you all very much. I do want to ask though, does anyone think that maybe I'm pumping too many points into that CoR's unit? They cost almost...
Hey everyone. Name's Dalkarius, and I've been playing Lizardmen for a little over 5 years now. I like to think myself a rather decent Lizardman...
I play some RTS, but the thought of using Tyranids (which to my twisted mind are the evil version of lizzes kinda combined with the damned Skaven)...
I'm going for WAR all the way, already Pre-Ordered and everything. The game looks amazing and they did an AMAZING job at sticking to the Warhammer...
Hey there! This is Dalkarius back from his victory dance about how to kill a dragon. Firstly, I will provide the list of my opponent, then I...
AH-HAH! It finally occured to a few moments ago while I was reading through some magic lores, Pit of Shades would ruin the dragon! The Star Drsgon...
oh! Missed the CO part, sorry bout that.
I played a siege back a year or so for a remake of the Albion campaign (so I'm not sure if the rules are the same) and for attacking I was allowed...
Thank you all very much for the suggestions. I've actually tried most of those ideas, the main problem is the dragon causes terror and Scouts with...
These records of crystals were left in the article by mistake
+++
# Er3O2F5

Er3O2F5 after structural relaxation (GGA-PBE, the Materials Project).

Geometry as extended XYZ:
```
40
Lattice="5.6150 0.0000 0.0000 0.0000 17.1758 0.0000 0.0000 0.0000 5.3618" Properties=species:S:1:pos:R:3 pbc="T T T"
Er 0.9815 1.6729 0.2091
Er 0.9815 6.9150 0.2091
Er 1.3397 4.2939 2.4491
Er 1.4678 12.8818 5.1300
Er 1.8260 10.2608 2.8900
Er 1.8260 15.5029 2.8900
Er 3.7890 1.6729 2.4718
Er 3.7890 6.9150 2.4718
Er 4.1472 4.2939 0.2318
Er 4.2752 12.8818 2.9128
Er 4.6335 10.2608 5.1527
Er 4.6335 15.5029 5.1527
O 0.2063 11.4849 3.7783
O 0.2063 14.2788 3.7783
O 2.6012 2.8970 1.0973
O 2.6012 5.6909 1.0973
O 3.0138 11.4849 4.2645
O 3.0138 14.2788 4.2645
O 5.4087 2.8970 1.5836
O 5.4087 5.6909 1.5836
F 0.6265 4.2939 4.5973
F 0.6582 8.8399 4.2165
F 0.6582 16.9238 4.2165
F 0.9069 10.7446 0.9436
F 0.9069 15.0190 0.9436
F 1.9006 2.1567 3.6245
F 1.9006 6.4312 3.6245
F 2.1493 0.2520 1.5356
F 2.1493 8.3359 1.5356
F 2.1810 12.8818 1.9164
F 3.4340 4.2939 3.4454
F 3.4656 8.8399 3.8262
F 3.4656 16.9238 3.8262
F 3.7144 10.7446 1.7373
F 3.7144 15.0190 1.7373
F 4.7081 2.1567 4.4182
F 4.7081 6.4312 4.4182
F 4.9568 0.2520 1.1453
F 4.9568 8.3359 1.1453
F 4.9885 12.8818 0.7645
```

## Properties
The crystal system is orthorhombic. The space group is Pnma (62). As for the energy with MP2020 corrections: -7.700 eV per atom.

---

# Ga2Se3

Ga2Se3 after structural relaxation (GGA-PBE, the Materials Project).

Geometry as extended XYZ:
```
10
Lattice="3.4058 -5.9970 0.0000 3.4058 5.9970 0.0000 -2.1558 0.0000 6.4175" Properties=species:S:1:pos:R:3 pbc="T T T"
Ga 2.3279 4.9768 3.2087
Ga 1.0344 2.9850 6.3908
Ga 2.1123 -2.9850 3.1821
Ga 3.4058 -4.9768 0.0000
Se 1.1037 2.9118 3.9051
Se 2.1949 1.0301 0.8896
Se 1.1170 -1.0301 4.0984
Se 2.1816 -2.9118 0.6963
Se 4.3733 0.9352 3.9427
Se 5.4512 -0.9352 0.7340
```

## Properties
The largest piezoelectric modulus is 0.21 C/m². The crystal system is monoclinic. The space group is Cc (9). As for the energy with MP2020 corrections: -4.177 eV per atom.

---

# NaMg4P3O12

NaMg4P3O12 after structural relaxation (GGA-PBE, the Materials Project).

Geometry as extended XYZ:
```
80
Lattice="9.9228 0.0000 0.0000 0.0000 6.3938 0.0000 0.0000 0.0000 15.5296" Properties=species:S:1:pos:R:3 pbc="T T T"
Na 2.4762 1.5984 3.3138
Na 2.4852 4.7953 11.0787
Na 7.4375 1.5984 4.4510
Na 7.4466 4.7953 12.2158
Mg 0.4482 1.5984 9.7833
Mg 0.6581 4.7953 1.9935
Mg 2.4521 0.0045 14.6764
Mg 2.4521 3.1924 14.6764
Mg 2.5093 3.2014 6.9116
Mg 2.5093 6.3893 6.9116
Mg 4.3033 1.5984 9.7583
Mg 4.5132 4.7953 2.0185
Mg 5.4095 1.5984 13.5111
Mg 5.6195 4.7953 5.7713
Mg 7.4135 0.0045 8.6180
Mg 7.4135 3.1924 8.6180
Mg 7.4707 3.2014 0.8532
Mg 7.4707 6.3893 0.8532
Mg 9.2647 1.5984 13.5361
Mg 9.4746 4.7953 5.7463
P 0.2890 4.7953 8.7199
P 0.4355 1.5984 0.8753
P 2.0355 1.5984 11.9984
P 2.9259 4.7953 4.2336
P 4.5259 4.7953 8.6401
P 4.6724 1.5984 0.9551
P 5.2503 4.7953 14.5745
P 5.3969 1.5984 6.8895
P 6.9969 1.5984 11.2960
P 7.8873 4.7953 3.5312
P 9.4873 4.7953 14.6543
+++
Ok, first of all, I'm Dalkarius and I've been kind of trigger happy with my posting since I recently discovered this site and love seeing all of...
I bought a Carnosaur a while back (Kroq-gar model) and it's fun to field, though my HE opponents Star Dragon is much more frightening in my...
I agree with Stonehambly, in fact I'm 100% sure he's right. You lose that extra rank on the charge, so with Saurus armed via spears you'd be...
Uh...a quick question about your post, SohCohToa, I believe that Krox don't have the Stupidity rule. I've the book right in front of me to make...